Exploring Saba’s Mt. Scenery on an Adventure Hike with Crocodile James

Mt. Scenery Hike

Hey Loves!

Are you ready for some adventure? Well, you will need some hiking boots or comfortable shoes and your hiking sticks because we are going to be venturing out in nature throughout this blog. My love for the great outdoors stems from childhood. Connecting with Mother Nature is something that always brought me peace and tranquility. As a child, I would hike the Shenandoah National Park and enjoy the stunning views. As much as I appreciate nature, I will admit that I have an extreme aversion to bugs. In fact, you will probably find me dramatically screaming and running frantically if one ever landed on me. Those who know me are familiar with the shrilling screams. 

When I decided to go hiking in a rainforest all sorts of thoughts went through my mind knowing that running in the slippery and unpredictable rainforest was not an option if a bug landed on me. 

I figured that if I could survive that flight to Saba, MAYBE I could survive a three-hour hike and some bugs lol. So let’s get into the keys and gems of hiking Mt. Scenery!

Mt. Scenery

**Quantum chemistry results, as found in the file:**
........
A structure of composition C51H62F3N3O4S3 in a non-equilibrium geometry, computed with ωB97M-V/def2-TZVPD.

```
126
C51H62F3N3O4S3 ωB97M-V/def2-TZVPD
C 2.282 1.931 0.331
C 1.813 2.920 1.389
C 3.025 3.113 2.311
C 1.502 4.281 0.766
C 0.580 2.356 2.155
C 0.818 1.975 3.477
C -0.184 1.466 4.281
C -1.491 1.533 3.843
C -1.804 1.870 2.529
C -3.334 1.905 2.224
C -3.661 1.245 0.903
C -3.850 3.350 2.284
C -4.157 1.109 3.254
C -0.741 2.204 1.628
N -0.974 2.318 0.194
C -1.593 3.467 -0.449
C -1.727 3.080 -1.904
N -1.039 1.784 -2.014
C -0.858 1.183 -3.334
C 0.070 1.739 -4.272
C 0.990 2.987 -4.106
C 2.307 2.799 -4.880
C 1.435 3.251 -2.679
C 0.278 4.199 -4.720
C 0.182 1.158 -5.541
C -0.301 -0.113 -5.803
C -1.217 -0.636 -4.910
C -1.677 0.113 -3.818
C -3.147 -0.203 -3.416
C -3.459 -1.698 -3.554
C -4.071 0.564 -4.379
C -3.462 0.181 -1.987
C -0.712 1.329 -0.742
C -0.229 0.095 -0.318
C 0.211 -0.886 -1.301
C 1.385 -0.652 -2.065
C 1.808 -1.545 -3.037
C 1.100 -2.733 -3.248
C -0.043 -3.001 -2.492
C -0.499 -2.080 -1.554
H 1.507 1.794 -0.422
H 3.186 2.306 -0.177
H 2.489 0.937 0.752
H 2.803 3.834 3.106
H 3.368 2.160 2.737
H 3.862 3.514 1.724
H 0.977 4.930 1.480
H 2.438 4.780 0.479
H 0.901 4.185 -0.139
H 1.806 2.052 3.938
H 0.055 1.119 5.281
H -2.271 1.286 4.560
H -3.330 0.199 0.906
H -4.747 1.269 0.730
H -3.181 1.756 0.074
H -3.887 3.682 3.331
H -3.221 4.057 1.731
H -4.870 3.386 1.874
H -4.134 1.568 4.249
H -5.211 1.093 2.942
H -3.812 0.069 3.316
H -2.565 3.703 -0.003
H -0.972 4.366 -0.329
H -2.785 2.972 -2.208
H -1.271 3.816 -2.583
H 2.173 2.860 -5.962
H 3.014 3.592 -4.608
H 2.770 1.839 -4.632
H 0.602 3.396 -1.992
H 2.060 2.424 -2.315
H 2.041 4.172 -2.653
H -0.712 4.379 -4.286
H 0.886 5.103 -4.580
H 0.145 4.037 -5.798
H 0.699 1.683 -6.344
H -0.015 -0.665 -6.700
H -1.628 -1.620 -5.136
H -2.734 -2.307 -3.001
H -4.456 -1.892 -3.139
H -3.479 -2.012 -4.602
H -3.898 1.648 -4.340
H -3.907 0.239 -5.413
H -5.124 0.383 -4.131
H -3.612 1.262 -1.891
H -4.398 -0.305 -1.669
H -2.663 -0.152 -1.308
H -0.120 -0.058 0.752
H 1.962 0.249 -1.841
H 2.709 -1.307 -3.611
H 1.462 -3.455 -3.979
H -0.574 -3.947 -2.617
H -1.396 -2.266 -0.957
F -1.314 -1.504 3.756
C 0.020 -1.708 4.045
F 0.277 -1.138 5.248
F 0.205 -3.043 4.186
S 0.985 -0.967 2.695
N 2.309 -2.313 2.862
S 3.651 -2.008 3.890
C 3.994 -3.633 4.571
C 3.698 -3.879 5.919
C 3.967 -5.139 6.459
C 4.536 -6.135 5.652
C 4.906 -5.853 4.331
C 4.668 -4.582 3.804
O 4.731 -1.528 3.071
O 3.127 -1.229 4.981
S 2.459 -2.818 1.232
C 0.904 -3.716 1.081
C 1.016 -5.064 0.721
C -0.137 -5.816 0.494
C -1.398 -5.241 0.671
C -1.508 -3.920 1.097
C -0.357 -3.163 1.276
O 2.468 -1.639 0.399
O 3.514 -3.789 1.122
H 3.265 -3.092 6.533
H 3.731 -5.341 7.508
H 4.718 -7.127 6.068
H 5.383 -6.611 3.702
H 4.986 -4.323 2.800
H 2.010 -5.495 0.647
H -0.044 -6.859 0.191
H -2.302 -5.821 0.492
H -2.478 -3.460 1.295
H -0.487 -2.113 1.557
```

E_LUMO	-0.5	eV
strongest force on any atom	0.076	hartree/bohr
E	-107208.247	eV
HOMO	-6.997	eV
M	934.3	g mol⁻¹

=====
........
**The entry goes on:**

While in Saba, I had the pleasure of hiking Mt. Scenery, a volcano on Saba Island. Do not worry Loves, the volcano is dormant with the last eruption in 1640. At 2,877 feet, Mt. Scenery is the highest point on the island and the Kingdom of the Netherlands. Among the 20 trail options, I accepted the challenge of hiking one of the most strenuous trails the island offered. Mt. Scenery is a 90 minute hike one way. Before finalizing my decision, another traveler I met on the island stated they only made it up a few stairs and determined it was too dangerous to continue hiking. They softly urged me to not do the hike. I am glad I did not listen because I would have missed out on an incredible experience!

Saba Living Legend: Crocodile James

My entertaining and unique guide is a Saba legend. At the youthful age of 70 and an eighth-generation Saban, James Johnson, (affectionately known as “Crocodile James”), is a beloved favorite on the island. He gets his monicker from his crazy and daring escapades around the world.  He has the wildest and most eccentric stories to keep you entertained on your hike. You will learn that his family arrived on the island hundreds of years ago. He humorously shares that he is a descendant of pirates, (though not the “Pirates of the Caribbean” kind). You will often find him with his machete, prepared to embark on hiking adventures.

Crocodile James has a unique accent that appears to be a blend of Scottish, Dutch, and doses of Caribbean. He has trekked all over the earth with his buddies and goes up and down Mt. Scenery alone a few times a day. During his stories, he shares how he cheated death more than a few times on his bewildering escapades. He is truly a brave soul. His stories are captivating and leave you on the edge of your seat waiting to find out how he got himself out of the craziest situations! Crocodile James rolled up many of the stones on the trails and meticulously placed them himself. He takes great pride in the upkeep and preservation of the trails. 

💎: Even if you are a seasoned hiker, it is definitely worth the experience to book a hike with Crocodile James. You will be educated, enlightened, and entertained with endless laughter from his wild adventures.

Before we began our journey, Crocodile James informed me that there are about 1,064 extremely steep stair steps to the top of the mountain. The steps range in various steepness, so I needed to be extremely careful and pay attention. The steps in the rainforest are muddy and very slippery, so a walking stick is a must. You will find lizards and non-poisonous snakes throughout the trails. I made sure to stick close to Crocodile James when I was told that. Y’all now know my aversion to bugs is no secret, so I could not afford to run screaming and end up tumbling down the trails. After Crocodile James briefed me on what to expect on the hike, we set off on our journey. 

On our journey, we came across some nuts. Crocodile James quickly whipped out his machete to cut it open so we could peek inside.

🔑: Make sure to have supportive hiking boots or comfortable shoes for this adventure. Mt. Scenery is extremely slippery due to the rainforest. Additionally, it is extremely helpful to use a walking stick on your adventure for extra support.

🔑: Water, bug spray, and light snacks are helpful to quench your thirst and provide nourishment on your journey. Bug spray will help repel the bugs!

💎: Hikers can borrow hiking sticks from The Trail Shop located at the foot of the Mt. Scenery Trail. At the end of their hike, hikers can get a certificate of completion for $2 USD, with funds going towards the Saba Conservation Fund. If you are hiking with Crocodile James, he is kind enough to let you borrow some of his personal ones. He meticulously pairs the walking stick best suited for you, ensuring a great hiking experience. 

As we continued on our journey, I saw some colossal Elephant Ears, the biggest I have seen in my life. Crocodile James told me that there were so many uses for them, including a makeshift umbrella haha.

He cut another Elephant Ear to display their impressive size in comparison to me. They are huge!

Herbal Gems

When I say that Saba is truly a simple way of living filled with gratitude, I mean it. The residents fully utilize the herbs and natural things God blessed them with on the island. Crocodile James’ knowledge of herbs in the rainforest was impeccable. He is an unrivaled flora and fauna expert on the island. He showed me herbs to help with the common cold and the flu. Crocodile James even taught me a formula on how to use herbs to get a good night’s rest. He humorously calls it “Super Sleep,” meaning I will be knocked out until the next day lol. He could spot any plant, herb, or tree and immediately tell you what it was and how it could be used to improve your health.

Additionally, Crocodile James pointed out plants that were good for asthma and bronchitis. There were bushes that helped with ankle and muscle pain; plants that helped with diabetes and controlling sugar; and even plants that helped with hypertension. There were so many things! Essentially, the medicine that anyone needed grew straight from the ground. 

There were several plants that he pointed out that were poisonous to both humans and wildlife. As he showed me, he advised me to not go near them at all. As someone who in fact believes that “fat meat is greasy,” (as my parents would say “You don’t believe fat meat is greasy.”), I did not dare go near them. 

🔑: Be careful of the Manchineel Tree. They are extremely poisonous! The milky sap from the plant will cause blisters on the skin. After the rain, the water from the plant can have the same effect on the skin. Although the fruit tastes and smells good, it is very deadly when consumed. 

Credit: Courtesy of Saba

Sometimes, Crocodile James would take me off the trail to show me plants within the rainforest.

While taking a detour, he introduced me to the Annatto plant. Natives often used this plant for paint, and women used it for lipstick.

During COVID-19, Crocodile James stated Saba initially only had only three cases from someone who came to the island. He informed me that they found an herb to assist with that. He would joke and say “Want the cure to Covid? Come to Saba!” I received a wealth of knowledge and notes filled with so many plants to add to my herbs diary for my health. 

Top of Mt. Scenery

Crocodile James and I eventually reached the top of Mt. Scenery, and it was well worth the hike. The views were breathtaking and you could see nearby islands St. Kitts and Stacia Island (St. Eustatius). I am so glad I decided to go on this experience.

# Unrelated to this text: molecular data
No. 1
The following is a DFT calculation (ωB97M-V with the def2-TZVPD basis set) of a structure of composition C36H47CaN5P2 in a non-equilibrium geometry.

relative energy (zero: lowest compared OMol25 entry of this formula, charge and spin) = 0.00 kcal per mole
HOMO = -6.851 eV

ORCA input file:
```
! RIJCOSX wB97M-V def2-TZVPD def2/J DEFGRID3
* xyz 0 1
Ca -1.752 5.244 -0.212
C -0.411 1.872 3.228
C 0.448 1.501 2.271
C 0.311 0.341 1.342
C -0.473 0.528 0.030
C -1.939 0.810 0.179
C -2.691 0.730 1.278
C -2.350 0.199 2.639
C -1.679 1.182 3.632
C -3.050 5.521 -2.172
H -0.120 2.687 3.903
H 1.370 2.078 2.122
H -0.105 -0.519 1.869
H 1.347 0.076 1.074
H 0.019 1.322 -0.560
H -0.335 -0.371 -0.594
H -2.399 1.167 -0.751
H -3.725 1.101 1.207
H -1.782 -0.733 2.601
H -3.320 -0.076 3.090
H -2.430 1.932 3.934
H -1.498 0.621 4.567
H -3.484 6.516 -2.352
H -3.891 4.806 -2.167
H -2.436 5.278 -3.057
P 0.141 -3.681 -2.771
P 2.861 -3.029 -1.003
N -1.464 -4.349 -2.479
N 0.250 -4.331 -4.436
N 2.431 -3.541 0.640
N 4.593 -3.115 -0.734
C 1.093 -5.053 -1.933
C 2.583 -4.709 -1.757
C -2.491 -3.586 -1.898
C -3.596 -4.403 -1.707
C -3.248 -5.709 -2.175
C -1.937 -5.657 -2.613
C 0.463 -3.493 -5.545
C 0.573 -4.281 -6.685
C 0.428 -5.646 -6.277
C 0.260 -5.650 -4.900
C 1.589 -2.701 1.377
C 1.300 -3.302 2.601
C 1.931 -4.584 2.589
C 2.578 -4.723 1.368
C 5.361 -4.019 0.017
C 6.698 -3.843 -0.311
C 6.768 -2.801 -1.296
C 5.477 -2.371 -1.542
H 1.013 -5.999 -2.493
H 0.602 -5.215 -0.959
H 3.087 -5.487 -1.156
H 3.091 -4.669 -2.734
H -2.315 -2.543 -1.679
H -4.540 -4.109 -1.269
H -3.888 -6.590 -2.188
H -1.309 -6.445 -3.003
H 0.518 -2.424 -5.402
H 0.747 -3.929 -7.693
H 0.442 -6.524 -6.915
H 0.175 -6.493 -4.226
H 1.258 -1.793 0.924
H 0.706 -2.863 3.388
H 1.906 -5.319 3.385
H 3.123 -5.567 0.965
H 4.905 -4.690 0.728
H 7.529 -4.403 0.100
H 7.668 -2.429 -1.768
H 5.080 -1.610 -2.202
C -4.316 6.082 1.595
N -2.883 5.900 1.904
C -2.678 5.066 3.102
C -2.193 7.236 2.060
C -0.671 7.110 1.984
C 0.139 8.132 2.533
C 1.525 7.969 2.498
C 2.106 6.802 1.989
C 1.283 5.784 1.446
C -0.063 6.005 1.417
H -4.840 6.662 2.380
H -4.811 5.101 1.492
H -4.406 6.620 0.641
H -1.624 4.792 3.185
H -2.977 5.598 4.023
H -3.269 4.142 3.019
H -2.621 7.905 1.284
H -2.487 7.684 3.034
H -0.347 9.003 2.999
H 2.166 8.757 2.902
H 3.188 6.665 2.005
H 1.713 4.851 1.073
*
```

No. 2
The following is a DFT calculation (ωB97M-V with the def2-TZVPD basis set) of a cluster of 4 separate species, C36H47F19N5O7P in total in a non-equilibrium geometry.

SMILES string = NP(O)c1c(CCOCC(F)(F)C(F)(F)C(F)(F)C(F)F)c(CCCC(F)(F)C(F)(F)F)c(CCF)c2c1C(=O)N(CCCC(F)(F)C(F)(F)F)C2=O.CNC(C)=O.CNC(C)=O.CNC(C)=O
HOMO = -8.287 eV

ORCA input file:
```
! RIJCOSX wB97M-V def2-TZVPD def2/J DEFGRID3
* xyz 0 1
N 3.099 -1.636 3.156
P 2.397 -0.050 3.211
O 3.669 0.849 3.727
C 2.342 0.340 1.397
C 1.119 0.391 0.677
C -0.230 0.116 1.321
C -0.405 -1.229 2.055
O -0.603 -1.131 3.462
C -1.862 -0.612 3.758
C -2.110 -0.635 5.252
F -1.879 -1.883 5.731
F -3.411 -0.347 5.476

I felt like I was on top of the world.

The Journey Down Mt. Scenery

## Quantum chemistry results, as found in the file
┌──
Computed, not measured: 14 unconnected molecules or ions with the total composition C84H207N11O9 in a non-equilibrium geometry, with ωB97M-V with the def2-TZVPD basis set.

Last column: Mulliken charge in e.
Geometry (Å):
H 3.38 -2.29 -3.60  0.564
N 3.60 -4.22 -2.69  0.393
H -4.56 -3.25 6.41  0.135
C 6.38 2.67 -4.00  -0.545
H 2.42 0.61 -3.04  0.240
C 2.22 6.15 -0.88  2.058
C 1.33 -2.02 8.01  -1.340
H 1.59 4.33 -7.59  0.219
H 4.21 7.72 -2.90  0.318
N -1.08 0.13 0.02  1.716
H 2.01 2.97 -3.95  -0.046
H 7.90 1.24 4.34  0.376
H -1.07 -3.96 5.02  -0.108
C 3.86 6.95 -3.64  -0.429
C -4.56 2.78 8.60  -1.240
H -2.86 -0.75 -0.22  -0.830
H -7.13 2.84 -3.68  0.503
H 2.02 -2.61 7.44  0.242
H 0.78 -2.72 8.63  0.348
O -6.12 -2.68 3.26  -0.473
C 2.15 3.44 -7.77  -1.819
C -2.84 0.95 -1.53  0.923
N -0.77 -6.00 -1.93  0.305
H 1.60 -7.76 -1.83  0.253
H -1.26 1.90 -5.21  -0.080
H -0.18 -4.56 6.38  0.379
H 7.48 2.90 -4.27  0.155
H 4.51 3.69 -4.06  0.009
H -8.07 0.66 -4.17  0.478
C -6.44 1.98 -3.59  -0.790
H 0.50 5.49 -6.06  0.202
N -4.69 4.35 0.61  1.419
C -1.08 -4.08 6.11  -1.114
C 0.71 6.14 -5.16  -1.311
H 3.63 -5.97 1.50  0.359
H 3.05 -5.96 4.31  0.547
C -2.39 3.12 5.37  -1.475
H -0.07 1.62 -7.35  0.634
C 4.49 -0.68 2.45  -0.058
H -4.37 -1.71 2.71  -0.090
H 2.08 3.10 1.43  -0.336
H -4.77 5.23 -2.01  -0.058
C -4.40 -4.35 3.89  0.434
H -3.17 6.46 1.68  0.427
H 0.92 4.46 1.22  -0.163
H 2.07 -4.79 -4.76  0.216
H 6.33 -3.61 -2.89  0.248
H 0.41 -0.33 3.14  -0.300
H 5.02 -4.98 1.36  0.169
H -1.04 -7.87 0.15  0.416
C -1.04 -3.69 -2.72  -0.642
H -0.42 -5.37 -3.93  0.489
H -1.91 -4.72 6.31  0.531
H 1.18 5.90 -0.49  -0.547
H 3.99 4.53 1.43  0.585
C -2.98 5.47 2.12  -1.093
C -1.17 4.26 -0.74  -1.009
C -7.40 -0.61 -0.38  -0.856
C -2.45 0.28 2.16  1.457
H 5.90 -2.28 2.13  -0.051
H -0.13 3.87 -4.42  -0.299
H -1.03 -7.34 -3.44  0.517
C -0.31 -5.00 -2.86  -0.280
H -6.41 4.61 -1.81  0.222
H -1.35 -0.27 5.29  0.153
C 0.48 -1.06 7.18  -0.173
H -3.65 -3.59 3.95  -0.165
H -2.25 -2.29 6.42  -0.306
H 0.92 0.41 -6.66  0.325
C -2.20 -0.17 -0.83  1.188
O 2.52 7.05 -4.01  -0.463
H 8.19 -3.04 4.52  0.354
H -2.23 4.19 -0.49  0.111
N 6.05 1.37 -4.42  1.363
H 4.38 2.17 -1.23  -0.050
C 5.92 -3.98 -3.80  -0.874
H 2.27 0.87 -0.35  -0.151
H 1.94 -3.01 -2.95  -0.674
H -5.19 -4.00 1.97  0.248
C -6.99 0.76 -4.36  -1.054
H 4.53 -0.09 -6.00  0.065
O 1.11 -4.51 2.01  0.068
H 2.33 3.35 -0.75  -0.907
H 8.85 0.20 5.26  0.261
H -1.14 -2.69 7.70  0.720
C -1.63 4.42 -3.08  -0.479
H 0.08 -2.81 0.52  -0.812
H -2.13 -3.84 -2.69  0.371
C 8.64 0.52 4.21  -1.463
H 1.47 -0.68 0.17  -0.777
H -8.20 0.11 -0.44  0.386
H 5.02 -5.74 -2.97  0.522
H 1.02 -8.79 -3.12  0.443
H -5.05 5.13 2.60  0.337
H -1.48 4.58 -5.22  0.360
H 4.08 -0.69 3.47  0.157
H -4.75 -2.74 -4.05  0.504
H -2.37 3.64 -3.22  0.001
H 5.37 0.06 -2.27  -0.098
O -4.81 -4.86 5.11  -0.547
C 0.72 -3.31 2.47  0.814
H -5.20 3.01 7.72  0.271
C -8.53 -1.80 -3.85  -1.199
C 4.41 -5.48 2.08  -0.793
H 3.22 4.05 -2.10  -0.764
O -1.54 -3.53 1.71  0.120
└──

In the popular words of Isaac Newton, “What goes up, must come down.” Okay, I know we are not technically discussing gravity, though you get my point. Making the journey down Mt. Scenery was no easy feat. With the slippery rocks, it seemed a bit more difficult coming down than going up.

I also may or may not have slipped a few times in the rainforest. Life flashed before my eyes y’all lol! 


On our way down, Crocodile James and I made another stop where I met more of the island’s delightful residents. Among them was a former cheesecake business owner from the United States, who sold her business and retired in the serene and beautiful Saba. She currently owns the spectacular restaurant, Rendezvous. This secluded and hidden gem is in the middle of the rainforest on the path to Mt. Scenery. You can enjoy delicious meals, tasty drinks, and live entertainment. 

While speaking with the owner, she informed me that they eventually plan to have a bed and breakfast for people to stay. Also, I was mind blown at how they logistically moved all the equipment up the mountain for the restaurant and bar. The dedication was impeccable, as they made it a priority to cater to guests for a full Saban experience. She was kind enough to give me a tour of the grounds. Crocodile James quickly discovered she had cilantro growing in her backyard. To her delight, she was so excited and never noticed it. I picked some, and it was definitely cilantro!

I also saw growing pineapples, her turtles, and so many other gems along the way.

Rendezvous is currently open on Thursdays – Saturdays and Sunday Brunch. The owner was such a sweet delight to speak with and promised cheesecake whenever I was back in Saba. (With cheesecake being my favorite dessert I think I will hold her to that promise haha). 

On our way back down, I saw various animals including this bull.

I did not dare go near it, though I was so excited to see one so close. Well, my bubble soon busted because Crocodile James told me the bull was raised from a baby and would be going to the slaughter the next week. Yikes!

Ending with Gratitude

Crocodile James and I continued our journey down the trail. I listened intensely to more stories that he shared as my eyes got big as saucers and my jaw dropped at some of his experiences. Once we returned to our starting point, I thanked Crocodile James for the hike and expressed my sincerest gratitude. We also took a selfie!

I woke up the next day feeling sore all over my body from my hike. Equally so, the sense of accomplishment I felt was out of this world. This is an experience I am so grateful for and will never forget! I am excited for my next hiking adventure in the great outdoors!

After my hike. Tired yet feeling accomplished!

Well Loves, that is enough adventure for now. For our next and last stop in Saba, I am excited to share with you the amazingly creative and artistic side Saba has to offer!

Until our next adventure abroad,

Stay Grateful, Love Deep, Dream BIG, and Happy Travels!



  1. Gloria Keene
    26/10/2023 / 22:40

    I truly admire your sense of exploring. I applaud you on your bravery to take on the bugs and the possibility of various snakes. Even if the snakes are non poisonous. They are too creepy for me. But, I appreciate the opportunity to experience these beautiful place and activities you shared with me. I am looking forward to your ( my experiences through yours).
    Your are a true adventurer . Thanks for sharing !

    • Legalandabroad
      01/11/2023 / 17:35

      Thank you so much for reading. I am so grateful you enjoyed the blog!

  2. Brigette Collins
    28/10/2023 / 15:26

    As you describe your journey throughout the Caribbean, I feel as though I’m with you. Your stories inspire me to live life and not be afraid to see what the world has to offer. I love these, and look forward to the next!

    • Legalandabroad
      01/11/2023 / 17:38

      Thank you so much for reading! I am so grateful. The world has so many beautiful destinations to discover and I am so grateful God has allowed me to experience some of them. Let your faith be bigger than your fears, pack your bags, and explore God’s beautiful creations. I hope you enjoy your adventure abroad! xoxo